The Best Is Yet To Come?
Wednesday, December 31st, 2008The Best Is Yet To Come?
As we prepare to say goodbye to 2008, many of us are wondering what the New Year will bring. If we are to use 2008 as an example of what is to come we could all be in trouble. This year can be summed up with the words of Charles Dickens, “It was the best of times, it was the worst of times, it was the age of wisdom, it was the age of foolishness, it was the epoch of belief, it was the epoch of incredulity, it was the season of light, it was the season of darkness, it was the spring of hope, it was the winter of despair…”
Gloom, yes that is an appropriate word to describe this past year. We have had an economic meltdown and come incredibly close to a complete shutdown. However, there is hope and this newfound belief must be approached with determination, ingenuity, intelligence, and caution. No matter how dreary the forecast, no matter how long they tell us it will take to recuperate from our economic woes – business will go on, and even prosper.
So, what do some of the tech-savvy writers have to say about 2009 and the technological industry, let us take a look. According to Deloitte, “Technology companies may be able to offset some of the growth challenges they face in 2009, by identifying revenue opportunities in niche markets which might not have been as interesting when revenue was more robust.” This may lead many of us to believe expansion into un-chartered territories will be a trend for technology companies, in the upcoming year.
== Someone pasted calculated crystals at this point ==
/*
[1]
Structure and computed powder X-ray diffraction pattern of Rb2VSnO4 (a GGA+U-relaxed structure; λ = 1.5418 Å (Cu Kα)).
Peak positions follow from Bragg's law for the DFT cell and can differ from measured ones.

Peak list (12 most intense, 2θ from 10° to 90°, by angle)
h k l, Position (°2θ), Rel. int.
1 1 -1, 24.4, 27
1 -1 1, 25.3, 100
-1 1 1, 25.5, 77
0 1 1, 26.4, 45
0 1 -2, 27.6, 21
1 1 0, 28.0, 56
0 2 -1, 28.8, 88
1 1 -2, 29.7, 64
0 0 2, 30.5, 32
2 0 -1, 34.7, 40
2 -2 0, 41.2, 27
1 0 2, 41.6, 25

Lattice parameters (Å, degrees): 5.259 6.306 6.737 111.06 105.64 100.53
Space group P1 (No. 1)
One atom of each set of equivalent atoms:
Rb: 0.000 0.000 0.000
Rb: 0.341 0.746 0.436
V: 0.811 0.300 0.491
Sn: 0.459 0.407 0.850
O: 0.154 0.277 0.516
O: 0.585 0.087 0.230
O: 0.734 0.246 0.719
O: 0.816 0.585 0.527

[2]
Structure and computed powder X-ray diffraction pattern of RbSnWO6 (a GGA+U-relaxed structure; λ = 1.5418 Å (Cu Kα)).
Peak positions follow from Bragg's law for the DFT cell and can differ from measured ones.

Peak list (12 most intense, 2θ from 10° to 90°, by angle)
h k l, Position (°2θ), Rel. int.
0 0 1, 14.4, 100
1 1 -1, 23.2, 57
0 2 1, 23.4, 76
1 1 1, 23.7, 52
0 0 2, 29.1, 29
1 3 0, 32.0, 49
2 0 0, 32.2, 26
1 3 -1, 35.1, 24
2 2 -1, 39.9, 20
1 3 -2, 43.5, 38
1 3 2, 44.1, 23
*/
== The piece goes on ==
Yet, according to Wall Street & Technology, “In 2009 CIO’s will be working with smaller budgets, and will face many of the same challenges they did in years past. At the top of the priority list will be – “improving risk management technology, providing technology support for compliance with new regulations, and improving collateral management technology.” This quote from Wall Street & Technology leads us all to believe caution, maintenance, and regulatory compliance will be the focus of the New Year.
What does this tell us? This tells us the experts are just as confused as we are and weathering this economic storm will be a matter of personal determination and not trends and statistics. According to CIOL-Developer Channel, “The majority of the predictions will be proven wrong – as in any other year; the majority of the technologies will not live up to the expectations and most of the predictions will be proven wrong – and there lies the beauty of technology!”
Technology is evolving and morphing into something new even as you read this article, there is no constant. The only thing that we know for sure is we do not know what the future holds for technology and for some reason, we are okay with this uncertainty and even inspired by it.
*Did You Know: E-mail marketing is set to become a standard mobile option in 2009?